Quentin Crisp (25 december 1908 21 november 1999)
These calculated crystals were left in the text by mistake:
- - -
# ZrH4NCl4
Theoretical XRD peak list, copper Kα. Input: a PBE-relaxed structure.
Neutral-atom scattering factors, no anomalous dispersion.

Principal peaks in the range 5° ≤ 2θ ≤ 70°, in order of falling intensity:
two_theta, d (Å), I (rel.)
21.32, 4.167, 100
13.70, 6.461, 92
35.21, 2.549, 61
35.09, 2.558, 37
30.40, 2.940, 31
28.28, 3.156, 30

Structure:
Cell: 8.820 8.820 8.820 Å, 131.58 131.58 70.90°
Element x y z (fractional)
1 Zr 0.375 0.125 0.250
2 Zr 0.625 0.875 0.750
3 H 0.023 0.617 0.306
4 H 0.117 0.311 0.594
5 H 0.189 0.283 0.806
6 H 0.217 0.523 0.906
7 H 0.783 0.477 0.094
8 H 0.811 0.717 0.194
9 H 0.883 0.689 0.406
10 H 0.977 0.383 0.694
11 N 0.125 0.375 0.750
12 N 0.875 0.625 0.250
13 Cl 0.108 0.266 0.299
14 Cl 0.234 0.033 0.842
15 Cl 0.309 0.608 0.342
16 Cl 0.467 0.809 0.201
17 Cl 0.533 0.191 0.799
18 Cl 0.691 0.392 0.658
19 Cl 0.766 0.967 0.158
20 Cl 0.892 0.734 0.701

~~~~~

Pm5Pr3Mg: calculated powder XRD pattern (Cu Kα), based on a structure optimized by DFT (GGA-PBE).

Atomic structure:
```
Pm5Pr3Mg
1.0
5.738 -4.140 0.000
5.738 4.140 0.000
-0.281 0.000 13.767
Pm Pr Mg
10 6 2
Cartesian
-0.032 0.000 3.514
2.882 1.847 4.613
5.738 2.711 0.000
2.658 0.000 12.033
2.882 -1.847 4.613
8.314 1.847 9.154
8.537 0.000 1.734
5.738 -2.711 0.000
8.314 -1.847 9.154
11.227 0.000 10.253
1.407 0.000 7.013
2.927 0.000 1.633
5.738 0.000 0.000
5.598 0.000 6.884
8.269 0.000 12.135
9.789 0.000 6.755
5.446 0.000 10.279
5.749 0.000 3.489
```

The 10 most intense peaks (2θ from 15° to 90°), in order of rising 2θ:
| d [Å] | 2θ (°) | I/Imax |
| --- | --- | --- |
| 4.140 | 21.46 | 24 |
| 3.271 | 27.27 | 28 |
| 3.253 | 27.42 | 34 |
| 3.075 | 29.04 | 100 |
| 2.978 | 30.00 | 55 |
| 2.925 | 30.56 | 52 |
| 2.869 | 31.18 | 51 |
| 2.694 | 33.25 | 23 |
| 2.136 | 42.31 | 22 |
| 1.658 | 55.43 | 24 |

~~~~~

# Pa2FeCo
Theoretical powder XRD pattern, CuKα. Input: a crystal structure in OQMD, relaxed with GGA-PBE.
Peak positions follow from Bragg's law for the DFT cell and can differ from measured ones.

The 6 most intense peaks (2θ from 15° to 90°), most intense first:
- 35.4°, 2.533 Å, rel. 100
- 29.1°, 3.072 Å, rel. 79
- 33.2°, 2.702 Å, rel. 73
- 35.6°, 2.519 Å, rel. 67
- 43.2°, 2.095 Å, rel. 36
- 42.7°, 2.120 Å, rel. 34

Cell and atoms:
```
Pa2FeCo
1.0
5.7286 0.0000 0.0000
0.0000 3.7346 0.0000
-2.4019 0.0000 6.8239
Pa Fe Co
4 2 2
direct
0.2296 0.2500 0.4303
0.2313 0.2500 0.9392
0.7687 0.7500 0.0608
0.7704 0.7500 0.5697
0.3012 0.7500 0.2053
0.6988 0.2500 0.7947
0.3077 0.7500 0.7029
0.6923 0.2500 0.2971
```

# IrCl3
Theoretical powder XRD pattern, CuKα. Input: a crystal structure in OQMD, relaxed with GGA-PBE.
Peak positions follow from Bragg's law for the DFT cell and can differ from measured ones.

The 6 most intense peaks (2θ from 15° to 90°), most intense first:
- 16.0°, 5.536 Å, rel. 100
- 36.2°, 2.481 Å, rel. 36
- 26.2°, 3.396 Å, rel. 26
- 52.0°, 1.759 Å, rel. 24
- 19.7°, 4.508 Å, rel. 19
- 36.0°, 2.494 Å, rel. 18

Cell and atoms:
```
IrCl3
1.0
- - -
De Engelse schrijver, acteur en homoactivist Quentin Crisp werd geboren als Denis Charles Pratt op 25 december 1908 in Sutton, Surrey. Zie ook mijn blog van 25 december 2006.
[Materials data, kept here for reference]
+++
The following is a theoretical PXRD pattern of Pb3Cl. It was derived from a cell relaxed with PBE, using Cu Ka.
Kinematic intensities with the Lorentz-polarization factor, no thermal factor.

Most intense lines, 2θ from 10° to 90°, by angle:
- 2θ 26.95, intensity 138, (1 1 1)
- 2θ 31.72, intensity 1000, (1 1 2)
- 2θ 32.89, intensity 230, (0 2 0)
- 2θ 38.52, intensity 154, (0 0 4)
- 2θ 38.71, intensity 149, (2 0 0)
- 2θ 51.53, intensity 126, (0 2 4)
- 2θ 51.68, intensity 131, (2 2 0)
- 2θ 57.99, intensity 184, (1 3 2)
- 2θ 65.71, intensity 127, (3 1 2)
- 2θ 66.26, intensity 120, (2 2 4)

a b c (Å): 4.653 5.447 9.349
angles (deg): 90.00 90.00 90.00
Positions (direct):
Pb (0.000, 0.000, 0.000)
Pb (0.000, 0.500, 0.261)
Pb (0.000, 0.500, 0.739)
Pb (0.500, 0.000, 0.261)
Pb (0.500, 0.000, 0.739)
Pb (0.500, 0.500, 0.000)
Cl (0.000, 0.000, 0.500)
Cl (0.500, 0.500, 0.500)


1.
Calculated XRD peak list
Compound: K2BiPbCl8
Radiation: Cu Kα, 1.54184 Å
Structure: the PBE geometry in Alexandria
Kinematic intensities with the Lorentz-polarization factor, no thermal factor.

Peak list (10 most intense, 2θ from 10° to 80°, by angle)
d/Å  I_rel
7.062  93
6.840  97
5.064  100
4.775  71
3.684  36
3.651  78
3.286  73
2.546  66
2.469  37
2.066  47

Unit cell a=6.852 b=8.635 c=7.074 alpha=90.00 beta=93.37 gamma=90.00
Fractional positions:
K 0.000 0.247 0.000
K 0.000 0.753 0.000
Bi 0.500 0.000 0.500
Pb 0.500 0.500 0.500
Cl 0.273 0.000 0.179
Cl 0.277 0.500 0.179
Cl 0.282 0.246 0.634
Cl 0.282 0.754 0.634
Cl 0.718 0.246 0.366
Cl 0.718 0.754 0.366
Cl 0.723 0.500 0.821
Cl 0.727 0.000 0.821

=====

2.
Calculated XRD peak list
Compound: LaSb3S6
Radiation: Cu Kα, 1.54184 Å
Structure: the PBE geometry in Alexandria
Kinematic intensities with the Lorentz-polarization factor, no thermal factor.

Peak list (10 most intense, 2θ from 10° to 80°, by angle)
d/Å  I_rel
5.768  75
3.966  81
3.638  79
3.466  48
3.238  69
3.026  67
2.760  100
2.733  48
2.180  67
1.970  68

Unit cell a=11.727 b=3.941 c=11.957 alpha=90.00 beta=104.03 gamma=90.00
Fractional positions:
La 0.187 0.250 0.031
La 0.813 0.750 0.969
Sb 0.036 0.750 0.293
Sb 0.337 0.250 0.427
Sb 0.403 0.750 0.847
Sb 0.597 0.250 0.153
Sb 0.663 0.750 0.573
Sb 0.964 0.250 0.707
S 0.035 0.750 0.887
S 0.124 0.250 0.444
S 0.220 0.750 0.226
S 0.257 0.250 0.799
S 0.385 0.750 0.051
S 0.390 0.750 0.569
S 0.610 0.250 0.431
S 0.615 0.250 0.949
S 0.743 0.750 0.201
S 0.780 0.250 0.774
S 0.876 0.750 0.556
S 0.965 0.250 0.113

=====

3.
Calculated XRD peak list
Compound: Sn6I7Br5
Radiation: Cu Kα, 1.54184 Å
Structure: the PBE geometry in Alexandria
Kinematic intensities with the Lorentz-polarization factor, no thermal factor.

Peak list (10 most intense, 2θ from 10° to 80°, by angle)
d/Å  I_rel
5.413  31
5.054  72
3.504  76
3.400  100
2.733  73
2.706  35
2.636  46
2.527  30
2.299  35
2.171  89

Unit cell a=13.794 b=7.405 c=7.405 alpha=93.93 beta=90.00 gamma=90.00
Fractional positions:
Sn 0.000 0.000 0.000
Sn 0.166 0.497 0.497
Sn 0.327 0.994 0.994
+++
Well, now, the last time You-Know-Who was mentioned, I began by saying I wouldn't like to say anything that gave offense. And someone in the audience said, "Why stop now?" But his is still something that worries me, so if at any moment anyone finds anything I say offensive, they have only to jump up and down, make a scene, and we will stop.
I believe, like most people, not that of which logic can convince me but what my nature inclines me to believe. This is so of nearly everybody. I am unable to believe in a God susceptible to prayer as petition. It does not seem to me to be sufficiently humble to imagine that whatever force keeps the planets turning in the heavens is going to stop what it's doing to give me a bicycle with three speeds.
But if God is the universe that encloses the universe, or if God is the cell within the cell, or if God is the cause behind the cause, then this I accept absolutely. And if prayer is a way of aligning your body with the forces that flow through the universe, then prayer I accept. But there is a worrying aspect about the idea of God. Like witchcraft or the science of the zodiac or any of these other things, the burden is placed elsewhere. This is what I don't like.
You see, to me, you are the heroes of this hour. I do not think the earth was ever meant to be your home. I do not see the sky as a canopy held over your head by cherubs or see the earth as a carpet laid at your feet. You used to live an easy lying-down life in the sea. But your curiosity and your courage prompted you to lift your head out of the sea and gasp this fierce element in which we live. They are seated on Mars, with their little green arms folded, saying, "We can be reasonably certain there is no life on Earth because there the atmosphere is oxygen, which is so harsh that it corrupts metal." But you learned to breathe it. Furthermore, you crawled out of the sea, and you walked up and down the beach for centuries until your thighbones were thick enough to walk on land. It was a mistake, but you did it.
Once you have this view of your pastnot that it was handed to you but that you did itthen your view of the future will change. This terror you have of the atom bomb will pass. Something will arise which will breathe radiation if you learned to breathe oxygen.
So you don't have to worry. Don't keep looking into the sky to see what is happening. Embrace the future. All you have to do about the future is what you did about the past. Rely on your curiosity and your courage and ride through the night."
De Amerikaans-Peruviaanse schrijver Carlos Castaneda werd geboren op 25 december 1925 in São Paulo, Brazilië (volgens hem zelf) of op 25 december 1919 in Cajamarca, Peru (volgens zijn immigratiepapieren). Zie ook mijn blog van 25 december 2006.
Uit: The Power of Silence
At various times I've attempted to name my knowledge for your benefit. I've said that the most appropriate name is nagualism, but that that term is too obscure. Calling it simply "knowledge" makes it too vague, and to call it "witchcraft" is debasing. "The mastery of intent " is too abstract, and "the search for total freedom" too long and metaphorical. Finally, because I've been unable to find a more appropriate name, I've called it "sorcery," although I admit it is not really accurate. I've given you different definitions of sorcery, but I have always maintained that definitions change as knowledge increases. Now you are in a position to appreciate a clearer definition. From where the average man stands, sorcery is nonsense or an ominous mystery beyond his reach. And he is right--not because this is an absolute fact, but because the average man lacks the energy to deal with sorcery. Human beings are born with a finite amount of energy, an energy that is systematically deployed, beginning at the moment of birth, in order that it may be used most advantageously by the modality of the time. The modality of the time is the precise bundle of energy fields being perceived. I believe man's perception has changed through the ages. The actual time decides the mode; the time decides which precise bundle of energy fields, out of an incalculable number, are to be used. And handling the modality of the time--those few, selected energy fields--takes all our available energy, leaving us nothing that would help us use any of the other energy fields. The average man, if he uses only the energy he has, can't perceive the worlds sorcerers do. To perceive them, sorcerers need to use a cluster of energy fields not ordinarily used. Naturally, if the average man is to perceive those worlds and understand sorcerers' perception he must use the same cluster they have used. And this is just not possible, because all his energy is already deployed.
┌──
This entry pairs a crystal structure of Mg2Zn3In2 with its calculated powder diffractogram. Radiation: CuKα. Structure: DFT lattice parameters and positions (PBE).
Peak positions follow from Bragg's law for the DFT cell and can differ from measured ones.

Atomic structure:
```
data_Mg2Zn3In2
_chemical_formula_sum 'Mg8 Zn12 In8'
_cell_length_a 11.362
_cell_length_b 9.278
_cell_length_c 8.014
_cell_angle_alpha 90.00
_cell_angle_beta 134.64
_cell_angle_gamma 90.00
_symmetry_space_group_name_H-M 'C 1 2 1'
_symmetry_Int_Tables_number 5
loop_
_symmetry_equiv_pos_as_xyz
'x,y,z'
'-x,y,-z'
'x+1/2,y+1/2,z'
'-x+1/2,y+1/2,-z'
loop_
_atom_site_label
_atom_site_type_symbol
_atom_site_fract_x
_atom_site_fract_y
_atom_site_fract_z
Mg1 Mg 0.199 0.000 0.279
Mg2 Mg 0.203 0.832 0.623
Zn1 Zn 0.000 0.055 0.500
Zn2 Zn 0.000 0.774 0.000
Zn3 Zn 0.133 0.916 0.883
Zn4 Zn 0.248 0.168 0.626
In1 In 0.057 0.585 0.768
In2 In 0.061 0.244 0.848
```

The 6 most intense peaks (10° ≤ 2θ ≤ 80°), sorted by position:
- 24.76°, I 33.7
- 26.62°, I 37.7
- 30.96°, I 33.9
- 35.14°, I 52.6
- 38.36°, I 100.0
- 38.44°, I 46.3

This entry pairs a crystal structure of La3Tb4Ho5 with its calculated powder diffractogram. Radiation: CuKα. Structure: DFT lattice parameters and positions (PBE).
Peak positions follow from Bragg's law for the DFT cell and can differ from measured ones.

Atomic structure:
```
data_La3Tb4Ho5
_chemical_formula_sum 'La3 Tb4 Ho5'
_cell_length_a 6.222
_cell_length_b 7.179
_cell_length_c 8.815
_cell_angle_alpha 89.79
_cell_angle_beta 89.79
_cell_angle_gamma 89.88
_symmetry_space_group_name_H-M 'P -1'
_symmetry_Int_Tables_number 2
loop_
_symmetry_equiv_pos_as_xyz
'x,y,z'
'-x,-y,-z'
loop_
_atom_site_label
_atom_site_type_symbol
_atom_site_fract_x
_atom_site_fract_y
_atom_site_fract_z
La1 La 0.000 0.000 0.000
La2 La 0.167 0.251 0.333
Tb1 Tb 0.171 0.749 0.332
Tb2 Tb 0.333 0.499 0.669
Ho1 Ho 0.000 0.500 0.000
Ho2 Ho 0.336 0.000 0.668
Ho3 Ho 0.498 0.748 0.000
```

The 6 most intense peaks (10° ≤ 2θ ≤ 80°), sorted by position:
- 30.45°, I 100.0
- 30.53°, I 33.1
- 35.25°, I 22.6
- 35.36°, I 44.8
- 50.88°, I 24.0
- 60.51°, I 28.5

This entry pairs a crystal structure of ThMg2Pd2 with its calculated powder diffractogram. Radiation: CuKα. Structure: DFT lattice parameters and positions (PBE).
Peak positions follow from Bragg's law for the DFT cell and can differ from measured ones.

Atomic structure:
```
data_ThMg2Pd2
_chemical_formula_sum 'Th2 Mg4 Pd4'
_cell_length_a 5.472
_cell_length_b 4.741
_cell_length_c 8.262
_cell_angle_alpha 90.00
_cell_angle_beta 97.24
_cell_angle_gamma 90.00
_symmetry_space_group_name_H-M 'P 1 21/m 1'
_symmetry_Int_Tables_number 11
loop_
_symmetry_equiv_pos_as_xyz
'x,y,z'
'-x,-y,-z'
'-x,y+1/2,-z'
'x,-y+1/2,z'
loop_
_atom_site_label
_atom_site_type_symbol
_atom_site_fract_x
_atom_site_fract_y
_atom_site_fract_z
Th1 Th 0.133 0.250 0.308
Mg1 Mg 0.364 0.250 0.700
Mg2 Mg 0.364 0.750 0.949
Pd1 Pd 0.107 0.250 0.947
Pd2 Pd 0.329 0.750 0.535
```
└──
Zie voor onderstaande schrijvers ook mijn blog van 25 december 2006.
De Duitse schrijver, journalist en theatercriticus Alfred Kerr werd op 25 december 1867 in Breslau geboren.
De Duitse schrijver Friedrich Wilhelm Weber werd geboren op 25 decmber 1813 in Althausen
25-12-2007 om 21:43
geschreven door Romenu 